== Brief ==
Duplicate all of the data further below character by character.

== Source ==
- - -
Computed, not measured: C7H14 as an isolated structure in a non-equilibrium geometry, with the ωB97M-V functional and the def2-TZVPD basis.

```
! wB97M-V def2-TZVPD RIJCOSX def2/J DEFGRID3
* xyz 0 1
C -2.102 -0.287 -0.821
C -0.590 -0.452 -0.996
C 0.227 -0.362 0.244
C -0.257 -1.411 1.181
C 1.723 -0.314 0.035
C 1.055 0.841 0.698
C 0.960 2.198 0.039
H -2.590 -0.014 -1.762
H -2.487 -1.260 -0.512
H -2.415 0.441 -0.055
H -0.448 -1.814 -1.104
H -0.191 0.231 -1.779
H -1.303 -1.330 1.506
H 0.386 -1.443 2.097
H -0.325 -2.382 0.191
H 2.313 -1.005 0.628
H 2.049 -0.190 -0.995
H 1.190 0.893 1.777
H 0.027 2.692 0.330
H 0.986 2.128 -1.055
H 1.794 2.840 0.352
*
```

Values from the calculation:
Orbital gap: 10.6 eV
Energy above the lowest of the compared OMol25 structures with the same formula, charge and spin: 318.9 kJ/mol
HOMO energy: -9.5 eV


# 1
23
Properties=species:S:1:pos:R:3:forces:R:3 method="wB97M-V/def2-TZVPD" lumo_ev="-8.4 / -8.4" homo_energy_ev="-15.96 / -18.17" orbital_gap_ev="7.61 / 9.79" de_lowest_kcal_mol=0.0 total_charge=+2 spin_multiplicity=3
O 0.915358 -1.554589 -1.990172 -0.9123 -0.0309 1.5872
C 1.767312 -0.654036 -2.623784 1.3616 1.0998 -1.2159
C 1.504555 0.778412 -2.168732 -0.2150 0.0046 -1.1209
O 1.407876 0.761277 -0.733456 -0.0935 -1.0354 0.3291
C 1.341804 2.048350 -0.135930 -0.0460 1.1129 0.6515
Ce 0.421465 -1.288658 -0.018659 0.8773 -0.8614 -1.3696
H 1.645373 -0.671208 -3.723022 -0.0072 -0.1750 0.4556
H 2.830592 -0.890750 -2.417399 -0.4666 -0.1225 -0.0580
H 0.550225 1.159281 -2.568253 0.2711 -0.0604 0.0763
H 2.318678 1.456103 -2.465247 -0.2214 -0.2781 0.0468
H 1.951269 2.029314 0.773634 -0.1121 0.1036 -0.1883
H 1.745312 2.799766 -0.827350 -0.1260 -0.1992 0.2947
H 0.299477 2.300354 0.109781 0.2734 0.0372 -0.1423
C -1.086507 0.206625 2.694855 -0.2662 0.9372 0.5466
O -1.254449 -0.708287 1.604376 0.3086 -0.3969 -0.1747
C -2.521734 -1.338788 1.559073 -1.3775 0.4355 0.2758
C -2.352345 -2.618869 0.784961 -0.4176 -1.2705 0.8951
O -2.189515 -2.848948 -0.351435 0.7175 0.7614 -0.6962
H -0.018473 0.308970 2.927928 -0.2570 -0.1303 -0.0689
H -1.498588 1.169002 2.377439 0.0925 -0.0403 0.2621
H -1.637139 -0.159733 3.569298 0.3203 0.0689 -0.1466
H -3.261762 -0.700586 1.049011 0.0753 -0.1033 0.1403
H -2.878785 -1.583001 2.573082 0.2206 0.1428 -0.3795



# 2
30
Properties=species:S:1:pos:R:3:forces:R:3 method="wB97M-V/def2-TZVPD" lumo_ev=0.3 homo_energy_ev=-10.88 orbital_gap_ev=11.20 smiles=ClCCl.ClCCl.ClCCl.ClCCl.ClCCl.ClCCl de_lowest_kcal_mol=18.6
C 3.619449 0.922432 -2.426122 1.2587 0.4269 -0.9788
Cl 4.903099 1.886642 -3.351152 -0.9218 -0.4342 0.4903
Cl 3.288929 -0.598718 -3.316982 -0.0044 0.7452 0.7663
H 4.117979 0.774382 -1.468182 -0.4782 -0.4575 -0.1542
H 2.736009 1.557482 -2.360242 0.1180 -0.3193 -0.1202
C -0.124661 -0.058938 4.622468 0.1156 0.3108 -0.1606
Cl -0.462091 0.684512 6.183238 -0.3151 -0.4339 0.3435
Cl 1.341339 0.748612 4.007168 -0.1199 -0.2041 -0.5361
H 0.085369 -1.127758 4.662658 -0.0599 0.2354 0.3997
H -0.994961 0.122972 3.991928 0.3920 0.0963 -0.1140
C -1.657741 3.238342 -3.753322 -0.8068 -0.4847 -0.3021
Cl -2.965531 2.949522 -2.559352 -0.0485 0.6805 -0.5658
Cl -0.216661 2.581302 -3.024872 0.8804 -0.0390 -0.2568
H -1.930451 2.692412 -4.656472 0.1852 -0.3042 0.2884
H -1.506721 4.263052 -4.092822 -0.1805 0.1263 0.8415
C -4.291191 0.033042 3.003478 0.2519 -0.0714 -0.0476
Cl -3.697671 -0.678118 4.507378 0.4108 0.5578 0.4510
Cl -5.058621 -1.290898 2.161678 -0.6620 -0.0768 -0.7936
H -4.974571 0.855272 3.215668 -0.0523 -0.3420 0.0288
H -3.474331 0.384612 2.373218 0.0452 -0.0651 0.3518
C 1.719849 -4.516738 -1.758572 0.2967 -1.0906 0.4744
Cl 2.585619 -4.528298 -3.280592 0.2037 0.3714 -0.3430
Cl 2.768259 -5.162108 -0.436942 -0.2366 0.4274 -0.1833
H 1.377709 -3.517298 -1.489952 0.0113 -0.3075 -0.1597
H 0.962739 -5.292668 -1.871722 -0.2735 0.6426 0.1874
C 0.458229 0.728552 0.216138 0.7054 0.0994 -0.0120
Cl 0.894039 -0.975358 -0.102922 0.1664 0.5016 0.0513
Cl -1.234771 0.849972 0.606788 -0.4922 0.2208 0.0862
- - -

== Solution ==
Computed, not measured: C7H14 as an isolated structure in a non-equilibrium geometry, with the ωB97M-V functional and the def2-TZVPD basis.

```
! wB97M-V def2-TZVPD RIJCOSX def2/J DEFGRID3
* xyz 0 1
C -2.102 -0.287 -0.821
C -0.590 -0.452 -0.996
C 0.227 -0.362 0.244
C -0.257 -1.411 1.181
C 1.723 -0.314 0.035
C 1.055 0.841 0.698
C 0.960 2.198 0.039
H -2.590 -0.014 -1.762
H -2.487 -1.260 -0.512
H -2.415 0.441 -0.055
H -0.448 -1.814 -1.104
H -0.191 0.231 -1.779
H -1.303 -1.330 1.506
H 0.386 -1.443 2.097
H -0.325 -2.382 0.191
H 2.313 -1.005 0.628
H 2.049 -0.190 -0.995
H 1.190 0.893 1.777
H 0.027 2.692 0.330
H 0.986 2.128 -1.055
H 1.794 2.840 0.352
*
```

Values from the calculation:
Orbital gap: 10.6 eV
Energy above the lowest of the compared OMol25 structures with the same formula, charge and spin: 318.9 kJ/mol
HOMO energy: -9.5 eV


# 1
23
Properties=species:S:1:pos:R:3:forces:R:3 method="wB97M-V/def2-TZVPD" lumo_ev="-8.4 / -8.4" homo_energy_ev="-15.96 / -18.17" orbital_gap_ev="7.61 / 9.79" de_lowest_kcal_mol=0.0 total_charge=+2 spin_multiplicity=3
O 0.915358 -1.554589 -1.990172 -0.9123 -0.0309 1.5872
C 1.767312 -0.654036 -2.623784 1.3616 1.0998 -1.2159
C 1.504555 0.778412 -2.168732 -0.2150 0.0046 -1.1209
O 1.407876 0.761277 -0.733456 -0.0935 -1.0354 0.3291
C 1.341804 2.048350 -0.135930 -0.0460 1.1129 0.6515
Ce 0.421465 -1.288658 -0.018659 0.8773 -0.8614 -1.3696
H 1.645373 -0.671208 -3.723022 -0.0072 -0.1750 0.4556
H 2.830592 -0.890750 -2.417399 -0.4666 -0.1225 -0.0580
H 0.550225 1.159281 -2.568253 0.2711 -0.0604 0.0763
H 2.318678 1.456103 -2.465247 -0.2214 -0.2781 0.0468
H 1.951269 2.029314 0.773634 -0.1121 0.1036 -0.1883
H 1.745312 2.799766 -0.827350 -0.1260 -0.1992 0.2947
H 0.299477 2.300354 0.109781 0.2734 0.0372 -0.1423
C -1.086507 0.206625 2.694855 -0.2662 0.9372 0.5466
O -1.254449 -0.708287 1.604376 0.3086 -0.3969 -0.1747
C -2.521734 -1.338788 1.559073 -1.3775 0.4355 0.2758
C -2.352345 -2.618869 0.784961 -0.4176 -1.2705 0.8951
O -2.189515 -2.848948 -0.351435 0.7175 0.7614 -0.6962
H -0.018473 0.308970 2.927928 -0.2570 -0.1303 -0.0689
H -1.498588 1.169002 2.377439 0.0925 -0.0403 0.2621
H -1.637139 -0.159733 3.569298 0.3203 0.0689 -0.1466
H -3.261762 -0.700586 1.049011 0.0753 -0.1033 0.1403
H -2.878785 -1.583001 2.573082 0.2206 0.1428 -0.3795



# 2
30
Properties=species:S:1:pos:R:3:forces:R:3 method="wB97M-V/def2-TZVPD" lumo_ev=0.3 homo_energy_ev=-10.88 orbital_gap_ev=11.20 smiles=ClCCl.ClCCl.ClCCl.ClCCl.ClCCl.ClCCl de_lowest_kcal_mol=18.6
C 3.619449 0.922432 -2.426122 1.2587 0.4269 -0.9788
Cl 4.903099 1.886642 -3.351152 -0.9218 -0.4342 0.4903
Cl 3.288929 -0.598718 -3.316982 -0.0044 0.7452 0.7663
H 4.117979 0.774382 -1.468182 -0.4782 -0.4575 -0.1542
H 2.736009 1.557482 -2.360242 0.1180 -0.3193 -0.1202
C -0.124661 -0.058938 4.622468 0.1156 0.3108 -0.1606
Cl -0.462091 0.684512 6.183238 -0.3151 -0.4339 0.3435
Cl 1.341339 0.748612 4.007168 -0.1199 -0.2041 -0.5361
H 0.085369 -1.127758 4.662658 -0.0599 0.2354 0.3997
H -0.994961 0.122972 3.991928 0.3920 0.0963 -0.1140
C -1.657741 3.238342 -3.753322 -0.8068 -0.4847 -0.3021
Cl -2.965531 2.949522 -2.559352 -0.0485 0.6805 -0.5658
Cl -0.216661 2.581302 -3.024872 0.8804 -0.0390 -0.2568
H -1.930451 2.692412 -4.656472 0.1852 -0.3042 0.2884
H -1.506721 4.263052 -4.092822 -0.1805 0.1263 0.8415
C -4.291191 0.033042 3.003478 0.2519 -0.0714 -0.0476
Cl -3.697671 -0.678118 4.507378 0.4108 0.5578 0.4510
Cl -5.058621 -1.290898 2.161678 -0.6620 -0.0768 -0.7936
H -4.974571 0.855272 3.215668 -0.0523 -0.3420 0.0288
H -3.474331 0.384612 2.373218 0.0452 -0.0651 0.3518
C 1.719849 -4.516738 -1.758572 0.2967 -1.0906 0.4744
Cl 2.585619 -4.528298 -3.280592 0.2037 0.3714 -0.3430
Cl 2.768259 -5.162108 -0.436942 -0.2366 0.4274 -0.1833
H 1.377709 -3.517298 -1.489952 0.0113 -0.3075 -0.1597
H 0.962739 -5.292668 -1.871722 -0.2735 0.6426 0.1874
C 0.458229 0.728552 0.216138 0.7054 0.0994 -0.0120
Cl 0.894039 -0.975358 -0.102922 0.1664 0.5016 0.0513
Cl -1.234771 0.849972 0.606788 -0.4922 0.2208 0.0862